About Us

The Simpson Center for the Humanities seeks to advance vital research and spirited intellectual exchange on questions of broad and pressing concern through and across the academic fields of the humanities and the humanistic social sciences. As a research unit within the Humanities Division of the College of Arts & Sciences at the University of Washington, the Simpson Center supports scholarship that draws on the core areas of humanistic inquiry and beyond.
Society of Scholars
Data records, kept here for reference:
/*
w.
Entry from OMol25: C5H13N3O as an isolated structure (the ωB97M-V functional and the def2-TZVPD basis).

Output
- Highest occupied orbital energy: -8.9 eV
- Frontier orbital gap: 9.5 eV

ORCA input file:
```
! RIJCOSX wB97M-V def2-TZVPD def2/J DEFGRID3
* xyz 0 1
C -0.388 0.026 -0.431
C -1.381 1.142 -0.125
C 2.120 1.297 0.794
C -0.755 -0.957 -1.509
N 0.284 -0.474 0.713
C 1.675 0.038 0.082
N 0.250 -1.889 0.848
N -2.612 0.631 0.462
O 2.432 -0.846 -0.309
H 0.727 0.642 -0.905
H 0.474 -2.072 1.821
H 1.018 -2.293 0.299
H -2.400 0.075 1.283
H -3.107 0.030 -0.187
H -1.627 1.682 -1.042
H -0.938 1.842 0.583
H 2.932 1.757 0.232
H 1.299 1.999 0.913
H 2.499 1.004 1.774
H -1.378 -1.743 -1.080
H 0.154 -1.427 -1.888
H -1.277 -0.463 -2.327
*
```



x.
Entry from OMol25: one molecule with the formula C5H13N3O (the ωB97M-V functional and the def2-TZVPD basis).

Output
- Highest occupied orbital energy: -8.7 eV
- Frontier orbital gap: 9.5 eV
- SMILES: C[C@@](N)(CN)CC(N)=O

ORCA input file:
```
! RIJCOSX wB97M-V def2-TZVPD def2/J DEFGRID3
* xyz 0 1
C 0.442 -0.555 -0.199
C 0.524 0.379 0.957
C -1.127 -1.263 0.212
C 1.554 -1.594 -0.148
C 0.758 2.014 0.418
N 0.295 0.036 -1.474
N -0.398 2.606 0.038
N -2.179 -0.273 0.065
O 1.854 2.539 0.352
H -0.302 -0.474 -2.115
H 1.166 0.276 -1.928
H -1.205 2.005 -0.096
H -0.364 3.586 -0.205
H -2.437 0.126 0.960
H -3.018 -0.689 -0.323
H 1.411 0.233 1.565
H -0.284 0.480 1.674
H -1.221 -2.025 -0.563
H -1.102 -1.785 1.175
H 2.341 -1.422 -0.881
H 1.197 -2.614 -0.284
H 2.094 -1.586 0.801
*
```



Tell me which of them is the least stable. Sure, it is w.



w.
Entry from OMol25: a 2-piece molecular cluster, C5H14O2 overall (the ωB97M-V functional and the def2-TZVPD basis).

Output
- Highest occupied orbital energy: -10.0 eV
- Frontier orbital gap: 10.7 eV
- SMILES: CC(C)CCO.O

ORCA input file:
```
! RIJCOSX wB97M-V def2-TZVPD def2/J DEFGRID3
* xyz 0 1
C 1.753 0.959 0.626
O 2.769 0.091 0.148
C 0.409 0.835 -0.122
C 0.155 -0.545 -0.731
C -1.100 -0.515 -1.594
C 0.113 -1.630 0.352
H 2.152 1.966 0.509
H 1.600 0.856 1.697
H 2.765 -0.742 0.624
H 0.417 1.580 -0.911
H -0.410 1.091 0.557
H 1.014 -0.758 -1.372
H -0.941 0.222 -2.385
H -1.408 -1.466 -2.003
H -1.931 -0.073 -1.029
H -0.922 -1.913 0.572
H 0.559 -1.342 1.303
H 0.506 -2.575 -0.022
H -3.294 1.659 0.725
H -3.946 0.564 1.557
O -3.168 0.747 1.023
*
```



x.
Entry from OMol25: a 3-piece molecular cluster, C5H14O2 overall (the ωB97M-V functional and the def2-TZVPD basis).

Output
- Highest occupied orbital energy: -9.8 eV
- Frontier orbital gap: 10.5 eV
- SMILES: C=CCCC.O.O

ORCA input file:
```
! RIJCOSX wB97M-V def2-TZVPD def2/J DEFGRID3
* xyz 0 1
C -2.076 0.177 -1.746
C -1.887 -0.072 -0.242
C -0.395 0.079 0.069
C 0.088 -0.002 1.520
C -0.196 -0.960 2.377
H -1.785 1.133 -2.180
H -1.596 -0.652 -2.325
H -3.087 -0.053 -2.097
H -2.407 0.709 0.303
H -2.172 -1.095 0.028
H 0.013 1.012 -0.328
H 0.062 -0.631 -0.661
H 0.695 0.870 1.712
H -0.929 -1.758 2.266
H 0.278 -0.855 3.362
H 3.006 -1.483 -1.666
*/
The Society of Scholars is an intellectual community of humanists of diverse generations, academic ranks, and departmental affiliations who contribute to and learn from one another’s work. Each year, approximately eight faculty and three dissertation research fellowships support members of the Society of Scholars who are working on major scholarly projects. Visiting scholars in year-long residence at the University of Washington may be invited to participate as well. The group meets biweekly throughout the year to discuss research in progress.
Digital Humanities Summer Fellowships
At the University of Washington the Simpson Center has been central to the emergence and growth of the digital humanities through its programming, opportunities for support, and facilitation of interdisciplinary scholarship. Its support of the digital humanities is inclusive of research and teaching, and the integration of the two. Thanks to the successful completion of a National Endowment for the Humanities Challenge Grant in 2013, the Simpson Center raised $2.5 million to endow the Digital Humanities Summer Fellowship program.
Barclay Simpson Scholars in Public and the Barclay Simpson Prize for Scholarship in Public
With the support of a generous grant from the PSB Fund—the family foundation of Barclay and Sharon Simpson—and matching funds from the University of Washington Office of the Provost, the Simpson Center for the Humanities welcomed the inaugural cohort of Barclay Simpson Scholars in Public in Summer 2021, with new cohorts to be convened biannually in the years ahead. Doctoral student fellows in the humanities devote the summer months to developing public-facing projects in their areas of study and practice and learning from the groundbreaking work of the faculty recipients of the Barclay Simpson Prize for Scholarship in Public.
The Barclay Simpson Prize for Scholarship in Public recognizes excellence in the public humanities, a field that promotes mutually beneficial partnerships across institutions and sectors, providing pathways for scholars to share their work with broader audiences. The four faculty members who have thus far been awarded the prize attest to the rich variety of meaningful public scholarship that is taking place at the University of Washington:
- 2015: Jim Gregory (History), on the history of the civil rights and labor movements in Seattle
- 2017: Michelle Habell-Pallán (Gender, Women & Sexuality Studies), on Latinx artists’ contributions to American popular music,
- 2019: Gillian Harkins (English), on education in prison, and
- 2021: Ralina Joseph (Communication), on convening community discussions on racial justice and systemic change.
Summer Institute in the Arts & Humanities
Beginning in 2002 the Simpson Center has sponsored, with the Undergraduate Research Program, the annual Summer Institute in the Arts & Humanities for upper-level undergraduates, an intensive twelve-credit research course on interdisciplinary topics for twenty students taught by four UW faculty and doctoral students.
Katz Distinguished Lectures
The Katz Distinguished Lectures epitomize the integration of research, teaching, and public engagement for which the Simpson Center has become widely known. The series is named after Solomon Katz, who served for 53 years at the UW, as an instructor, professor, chair of the Department of History, dean of the College of Arts & Sciences, provost, and vice president for academic affairs. Recent lectures include Anna Tsing (Anthropology, University of California, Santa Cruz) on the more-than-human Anthropocene; Chadwick Allen (English, University of Washington) on Native art and literature; and Ruth Wilson Gilmore (Earth & Environmental Sciences, CUNY Graduate Center) on abolition geographies. All Katz Lectures are free and open to the public, and many can be viewed here.
Graduate Research Clusters
Designated annually, Graduate Research Clusters foster crossdisciplinary collaboration and inquiry among graduate students in the form of cross-departmental reading, screening, and/or discussion groups, dissertation working groups, and other activities. Research clusters may organize activities that draw on local intellectual and cultural resources, including faculty and community leaders. In recent years, graduate students have organized research clusters on topics ranging from eighteenth and nineteenth century studies to racial capitalism to the medical humanities.
Graduate Microseminars and Interdisciplinary Graduate Certificates
The Simpson Center is known for its signature program of 1- to 2-credit graduate-level courses taught by distinguished visiting scholars and our own faculty to intellectually augment conferences, speaker series, and the presence of visiting scholars as well as to supplement the curriculum offered by departments. It is also known for supporting the development of graduate certificates in interdisciplinary studies, most recently the newly established Disability Studies Graduate Certificate.